Flies are inevitable nuisances of summer, which leaves horse owners wondering how to keep flies off horses in peak season. The two best methods are population management and horse protection. Fly masks, like those made by Cashel Company, are a chemical-free way to protect your horses from flies, but if you have an escalating fly problem, it might be necessary to try some other techniques. With proactivity and diligence, you can fly-proof your place and protect your horse, ensuring that he’s comfortable all summer.
=====
Record 1
Below is a 3-piece molecular cluster, C21H46BFN2O2 overall at a distorted geometry, with properties calculated with the ωB97M-V functional and the def2-TZVPD basis.

Summary:
E (a.u.): -1212.257242
E_HOMO (eV): -8.205
Orbital gap (eV): 7.35

ORCA input file:
```
! wB97M-V def2-TZVPD RIJCOSX def2/J DEFGRID3
* xyz 0 1
F -2.83 1.02 -0.50
O 5.89 1.32 -0.26
O 4.37 2.98 0.09
N -4.17 -1.71 4.24
N 2.62 -0.33 -4.14
C 0.71 -2.00 -4.45
C 2.81 0.19 -5.50
C -4.19 -0.26 4.33
C 5.05 -0.75 -3.74
C 0.41 2.31 -0.53
C -4.85 -2.29 3.08
C 3.65 0.39 0.01
C 0.32 1.75 0.96
C 3.94 -0.65 0.98
C 3.44 3.25 1.16
C -4.46 -2.42 5.48
C 4.68 1.61 -0.04
C -4.35 -1.75 1.74
C 3.62 -1.27 -3.66
C -5.90 -2.41 5.99
C 2.17 4.08 0.56
C -0.83 0.67 1.22
C -5.56 0.44 4.37
C 1.25 -0.72 -3.81
C 2.87 -0.83 -6.64
C 1.56 3.43 -0.77
B -1.70 0.23 -0.07
H 2.72 0.33 -0.64
H 2.36 3.00 -1.48
H 4.26 -1.66 0.56
H -3.80 -2.04 6.27
H -4.83 -2.29 0.92
H 1.08 4.30 -1.36
H -4.58 -0.69 1.61
H 1.31 1.28 1.32
H -4.67 -3.37 3.07
H 3.42 -1.50 -2.61
H -0.59 2.85 -0.76
H -4.16 -3.47 5.35
H -0.21 -2.30 -3.94
H 3.57 -2.23 -4.20
H -3.63 0.15 3.48
H 3.31 -0.36 -7.52
H -6.16 -1.45 6.43
H 5.16 0.19 -3.20
H 0.12 2.62 1.70
H -1.59 1.12 1.98
H 2.03 0.92 -5.72
H -5.93 -2.15 3.13
H 1.40 4.33 1.37
H 1.19 -0.83 -2.72
H 3.49 -1.70 -6.40
H 3.13 2.35 1.78
H 0.46 -1.85 -5.50
H 2.62 5.09 0.25
H 3.87 -0.42 2.10
H 0.57 0.11 -4.05
H 3.74 0.77 -5.51
H -3.62 0.06 5.21
H 5.73 -1.47 -3.28
H -3.27 -1.88 1.64
H -6.26 0.03 3.64
H 3.97 3.98 1.88
H -6.01 -3.16 6.78
H 1.88 -1.17 -6.92
H -1.50 -0.75 -0.71
H 0.63 1.49 -1.31
H -6.01 0.38 5.35
H 1.41 -2.84 -4.36
H -5.43 1.50 4.13
H -6.62 -2.65 5.21
H -0.44 -0.30 1.71
H 5.38 -0.61 -4.77
*
```



Record 2
Below is C21H46N3OP2SSm as an isolated structure at a distorted geometry, with properties calculated with the ωB97M-V functional and the def2-TZVPD basis.

Summary:
E (a.u.): -2805.562217
Energy relative to the best compared isomer or geometry (same formula, charge and spin) (kJ/mol): 98.86
E_HOMO (spin up / spin down) (eV): -13.779 / -13.501
Expectation value of S²: 8.8402
Orbital gap (spin up / spin down) (eV): 7.55 / 7.39

ORCA input file:
```
! wB97M-V def2-TZVPD RIJCOSX def2/J DEFGRID3
* xyz 2 6
Sm 0.46 -1.24 -0.16
S 0.91 -2.80 2.05
P 2.32 0.91 -0.10
P -2.37 -0.76 -0.19
O -0.61 1.67 1.99
N -0.57 -1.98 4.13
N 1.63 -1.25 4.15
N -0.29 0.92 -2.31
C -2.88 -3.44 0.72
C 4.34 -0.92 0.83
C -1.73 1.27 -2.29
C -2.65 0.08 -1.78
C -0.29 0.80 1.26
C 4.29 2.89 0.75
C 4.98 0.42 -1.19
C -5.15 -0.41 0.60
C -3.39 -0.41 2.43
C 2.91 2.24 1.06
C 2.85 1.79 2.54
C 0.64 -1.90 3.55
C 1.64 -0.98 5.61
C -3.67 -0.08 0.95
C -4.14 -2.77 -1.34
C -0.75 -1.75 5.62
C 3.82 -0.20 -0.43
C 0.62 2.10 -2.25
C 0.22 -0.69 6.04
C 2.06 1.76 -1.69
C -2.87 -2.55 -0.53
H 3.56 -1.50 1.34
H -0.56 -2.69 6.16
H -3.03 -4.48 0.40
H -2.37 -0.11 2.72
H -5.39 -0.24 -0.45
H 4.80 -0.23 1.54
H -0.10 0.28 5.64
H -1.19 -2.66 3.70
H 3.64 1.04 2.76
H 1.87 1.38 2.80
H 5.67 -0.38 -1.49
H -3.63 0.54 -1.78
H -0.13 0.52 -3.18
H 0.11 2.82 -1.61
=====
Population Control
- - -
Below is a 13-piece molecular cluster, C44H92BCl24NO4S overall, with properties calculated with ωB97M-V/def2-TZVPD.

```
167
Properties=species:S:1:pos:R:3:forces:R:3
C 4.0237 2.8914 4.4533 0.2198 0.1619 -0.0098
C 4.6742 3.8652 3.4551 -0.5530 -0.1838 0.1472
C 4.5624 3.4183 2.0003 0.2341 -0.0968 0.3147
C 4.9324 1.9494 1.7732 -0.2579 0.0681 -0.6306
C 5.6407 1.6551 0.4315 0.0239 -0.4291 0.5153
C 4.8966 0.6955 -0.5071 0.1904 0.1143 -0.3881
C 4.1652 1.3360 -1.6910 -0.1804 -0.1739 0.3804
C 2.7185 1.7559 -1.4101 0.1805 -0.0611 -0.6370
C 1.6767 0.7122 -1.7987 -0.4515 0.2408 0.7073
C 1.5581 -0.4516 -0.7956 -0.2638 0.0929 -0.8399
C 0.1264 -1.0161 -0.6876 0.0131 0.1576 0.0182
C -0.5731 -0.7063 0.6484 0.5244 -0.3157 0.0116
C -1.4773 -1.8313 1.1565 -0.3455 0.3292 -0.2219
C -2.9486 -1.6896 0.7753 0.0144 -0.2040 0.0877
C -3.7066 -0.6507 1.5855 -0.4376 -0.2373 -0.1655
C -5.2184 -0.7312 1.3566 -0.1195 0.5156 -0.0141
C -6.0261 -0.1643 2.5238 0.3468 -0.5992 0.1082
C -7.5191 -0.4415 2.4385 -0.1933 0.3960 0.1745
C -8.2911 0.6270 1.6753 -0.4859 -0.1701 0.1191
C -9.7621 0.2459 1.5461 0.4631 -0.3471 0.0576
O -10.3643 0.8069 0.3669 0.0135 -0.0524 0.3067
S -11.2053 2.1661 0.6178 0.2548 -0.1787 -0.6176
O -12.1759 1.8979 1.6418 -0.2544 -0.0106 0.4685
O -11.9725 1.9483 -0.7989 -0.0733 0.4651 0.4339
B -12.4352 3.0821 -1.4613 -0.4335 0.0224 -0.3610
N -13.8079 3.0571 -1.9843 0.5363 0.1762 -0.2391
O -11.5947 4.1573 -1.6127 0.3412 -0.4834 0.1621
H 4.7777 2.2515 4.9071 -0.0241 -0.2162 0.0126
H 3.2845 2.2502 3.9791 -0.1152 -0.0456 -0.0544
H 3.5335 3.4333 5.2595 -0.0507 0.0188 0.1093
H 4.1663 4.8233 3.5430 0.1468 0.1931 0.0063
H 5.7164 4.0088 3.7370 0.1327 0.0968 -0.0514
H 3.5372 3.5810 1.6766 -0.1588 0.1076 -0.1625
H 5.1911 4.0760 1.3996 0.0529 0.0207 -0.1331
H 5.5301 1.5538 2.5889 0.0003 0.1735 0.0511
H 4.0142 1.3618 1.7662 -0.1134 -0.0901 0.2261
H 5.8968 2.5841 -0.0741 -0.0155 0.1028 -0.1718
H 6.5830 1.1645 0.6789 0.1924 0.1217 -0.0291
H 5.6207 -0.0092 -0.9178 0.0820 -0.0804 -0.0181
H 4.1912 0.0957 0.0666 -0.0168 -0.1245 0.0925
H 4.7310 2.1879 -2.0607 0.1600 0.1253 0.0738
H 4.1716 0.6108 -2.5026 -0.1640 0.0693 -0.1178
H 2.5174 2.6570 -1.9936 -0.1098 0.1275 0.0329
H 2.5479 2.0234 -0.3680 0.2897 0.0033 0.0301
H 0.7088 1.2217 -1.8058 -0.1061 0.0714 -0.0299
H 1.8227 0.3395 -2.8100 0.1923 -0.0324 -0.0992
H 1.8984 -0.0880 0.1716 0.0934 -0.2014 0.1966
H 2.2032 -1.2559 -1.1472 0.3246 -0.0392 0.3311
H 0.1606 -2.0962 -0.8381 -0.0500 -0.1159 0.0868
H -0.4607 -0.6120 -1.5122 -0.1118 -0.0701 -0.1221
H 0.2165 -0.5556 1.3851 0.0335 0.0770 0.1202
H -1.1098 0.2395 0.5806 -0.0998 0.0985 0.0372
H -1.4225 -1.8842 2.2448 0.0164 -0.0494 0.1118
H -1.1181 -2.7857 0.7706 0.1552 -0.0750 0.0394
H -3.0691 -1.5284 -0.2981 0.0666 0.1410 -0.1016
H -3.4360 -2.6394 0.9854 -0.0988 -0.2846 -0.0526
H -3.5316 -0.8763 2.6393 0.1889 0.1960 0.1429
H -3.3703 0.3619 1.3676 0.1846 0.1083 0.1628
H -5.4806 -0.1708 0.4561 -0.0166 -0.1381 -0.2027
H -5.5259 -1.7657 1.1977 0.0498 -0.1326 -0.0238
- - -
Here the entry continues >
Keep fly populations at bay by managing the places they like to rest and breed. Areas with moisture, such as water and manure, are attractive places to lay eggs. Reduce proximity to and prevalence of still water and manure piles around horse-occupied areas to avoid the barn becoming a fly hangout.
Stagnant water, such as decorative ponds and over-watered pastures, are havens. When possible, avoid overwatering. Garlic is a natural fly repellent. Place it around still-water features to repel mayflies. An underwater propeller placed in a pond can also be used to create current that’s unsuitable for egg-laying flies.
== Data records that have nothing to do with the text ==
~~~
No. 1
A 2-piece molecular cluster, C3H9Cl2NP overall at a distorted geometry, computed with wB97M-V/def2-TZVPD.

```
16
Properties=species:S:1:pos:R:3
Cl 2.08 1.40 -0.97
Cl 1.11 -1.27 0.44
P 2.55 -0.62 -0.88
N -1.36 0.80 0.28
C -2.07 -0.21 0.62
C 3.97 -0.47 0.28
C -1.68 2.18 0.43
H -1.66 -1.18 0.53
H 4.80 0.22 -0.29
H -1.05 2.83 0.91
H -0.32 0.64 0.14
H -1.85 2.57 -0.54
H 3.48 -0.01 1.07
H -3.17 -0.03 0.85
H 4.49 -1.38 0.66
H -2.65 2.13 0.90
```

Computed properties:
Gap between HOMO and LUMO, Ha: 0.293
Total charge: +1

***

No. 2
A single C17H23N3O4 molecule, computed with wB97M-V/def2-TZVPD.

```
47
Properties=species:S:1:pos:R:3
O 2.80 0.51 1.28
O -0.27 -0.12 -0.43
O -6.54 -1.04 0.16
O 0.08 3.09 -1.07
N 0.49 2.05 0.90
N 2.73 1.21 -0.85
N -0.80 1.54 1.01
C -7.10 -1.75 -0.92
C 3.01 -1.17 -0.46
C -2.55 0.08 0.21
C -3.42 0.39 1.26
C 0.87 2.62 -0.28
C -1.12 0.47 0.20
C 2.38 2.57 -0.50
C -4.73 -0.01 1.21
C 4.15 -1.28 -1.48
C 2.85 0.24 0.09
C 4.59 -2.00 1.33
C -3.04 -0.63 -0.87
C 5.50 -1.06 -0.80
C 5.71 -2.10 0.30
C -4.36 -1.02 -0.94
C -5.23 -0.71 0.11
C 3.23 -2.17 0.68
H 2.91 2.83 0.42
H 2.51 0.93 -1.80
H 4.13 -2.28 -1.91
H 5.72 -3.10 -0.14
H 1.21 1.51 1.40
H -3.06 0.91 2.14
H -8.15 -1.90 -0.66
H 2.06 -1.39 -0.95
H 2.67 3.24 -1.31
H 4.63 -1.02 1.82
H -7.04 -1.19 -1.85
H -6.62 -2.73 -1.04
H -1.51 2.22 1.24
H 6.30 -1.13 -1.54
H 4.73 -2.76 2.10
H 6.68 -1.94 0.78
H -5.42 0.21 2.02
H 4.03 -0.56 -2.29
H 3.15 -3.18 0.27
H -2.36 -0.88 -1.67
H 5.54 -0.06 -0.37
H 2.44 -2.04 1.42
H -4.71 -1.57 -1.80
```

Computed properties:
Gap between HOMO and LUMO, Ha: 0.352

***

No. 3
An isolated ion of composition C3H7N3 and charge +2 at a distorted geometry, computed with wB97M-V/def2-TZVPD.

```
13
Properties=species:S:1:pos:R:3
N -0.76 1.65 -2.12
N 1.14 -0.91 2.41
N 0.08 -0.47 0.38
C 0.66 -1.10 1.27
C -0.76 0.15 -0.31
C -0.43 0.51 -1.65
H 1.13 -0.05 2.90
H -1.81 0.13 -0.06
H -1.25 2.23 -1.53
H 1.54 -1.57 2.95
H -0.65 1.78 -3.17
H 0.74 -2.19 1.14
H 0.36 -0.15 -2.21
```

Computed properties:
Gap between HOMO and LUMO, Ha: 0.337
Total charge: +2

***

Per-record E, Ha: -1435.94781, -1126.86793, -282.03116

----------

Here is a structure of composition C23H20BF4MnN3O2S from the OMol25 dataset. Energies are from ωB97M-V/def2-TZVPD.

Last column: Löwdin spin population.
Positions of all 55 atoms, in Å:
Mn  -0.569  -0.488  -0.179  4.140
C  -0.532  2.056  -2.690  0.003
O  0.178  1.080  -1.946  0.037
C  1.551  1.076  -2.013  0.001
C  2.289  1.819  -2.911  0.001
C  3.678  1.664  -2.952  -0.004
C  4.293  0.758  -2.105  0.000
C  3.542  0.021  -1.190  -0.006
C  2.165  0.186  -1.110  0.005
N  1.339  -0.424  -0.191  -0.041
N  1.537  -1.861  -0.005  0.000
C  1.618  -2.216  1.383  0.001
C  0.582  -1.873  2.253  0.003
O  -0.456  -1.164  1.869  0.058
C  0.679  -2.314  3.610  0.003
C  1.741  -3.041  4.054  -0.001
C  2.801  -3.396  3.182  0.001
C  3.916  -4.152  3.622  0.000
C  4.923  -4.491  2.764  0.001
C  4.850  -4.079  1.411  0.000
C  3.789  -3.350  0.955  0.001
~~~
It’s hygienic to keep manure away from horse living areas anyway, but this is especially important during fly season. Flies congregate around manure, so clean stalls and turnouts regularly, and move larger manure piles away from arenas, barns, and runs. Fly predators are another way to decrease breeding and population growth. They’re natural enemies of flies, and can be sprinkled on manure piles monthly to reduce presence of larvae.
Even the most diligent horse owner encounters flies around the barn, tack room, and arena. To combat this, hang sticky non-insecticidal flypaper from stall ceilings or in barn alleyways to lure and catch flies. Or, make DIY, homemade flytraps to set around the barn. Flies also don’t like wind, so safely-placed fans in the barn walkways that direct and circulate airflow will deter them.

Horse Management
To protect your horse from existing flies, use fly repellent and protective gear. These act as your horse’s first line of defense against irritation and fly-borne illness.
Before you ride, spray areas uncovered by your saddle with fly repellent to keep flies off your horse as you ride. As your horse sweats, flies will gravitate toward the smell and moisture; you’ll notice them buzzing when you stop. Also, be mindful of long rides in fly-prevalent areas, such as shady or lakeside trails, and pack a small supply of fly spray for protection on the go.
Use fly spray after riding and before turnout, and don’t forget the face. Spray into your hand and wipe his face or use roll-on repellent. If you prefer natural fly spray to store-bought, create your own DIY fly repellent. While you can find many recipes online, check that the ingredients are safe for use in fly spray for horses.
Because many store-bought and homemade fly repellents only protect for up to a few hours, protective horsewear is a must. A well-fitted fly mask, like Cashel Company’s Crusader Fly Mask, keeps bugs out of horses’ eyes. Cashel Company also offers masks with ears for added protection. And lightweight protective fly sheets and boots, also part of Cashel Company’s line of fly protection products, play the dual role of pest protection and sunblock, as many have built-in UV technology.